Material.
-- begin --
Computed, not measured: a cluster of 8 separate species, C43H68F9NO26PS in total in a non-equilibrium geometry, with ωB97M-V/def2-TZVPD.

Each atom is followed by the atoms it is bonded to, with distances in Å.
Geometry (Å):
1 S 0.532 4.391 -0.994  F3 1.595, F6 1.611, F7 1.589, F8 1.600, F11 1.626, C67 1.868
2 P 3.187 -4.509 0.155  O33 1.674, O34 1.656, C65 1.920
3 F 0.575 3.250 0.120  S1 1.595
4 F 2.604 1.769 -3.313  C76 1.380
5 F 2.828 3.191 -1.160  C67 1.343
6 F 0.529 5.637 -2.015  S1 1.611
7 F -0.675 3.732 -1.790  S1 1.589
8 F -0.546 5.181 -0.115  S1 1.600
9 F 0.709 2.576 -3.928  C76 1.357
10 F 2.438 4.399 -2.861  C67 1.342
11 F 1.692 5.162 -0.156  S1 1.626
12 O 2.358 6.542 -6.924  C56 1.187
13 O 8.687 4.198 -0.594  C72 1.363, C77 1.428
14 O -3.875 -3.715 1.996  C55 1.428, C78 1.437
15 O -3.346 6.326 -8.849  C50 1.190
16 O 4.274 5.741 -7.800  C56 1.358, C79 1.433
17 O -1.028 -3.873 9.406  C69 1.191
18 O -4.785 -1.764 -1.693  C52 1.186
19 O -1.217 0.182 4.226  C46 1.436, C60 1.355
20 O -1.440 -7.048 5.316  C49 1.432, C81 1.364
21 O -2.140 5.877 -6.994  C48 1.436, C50 1.358
22 O -0.296 -5.231 4.679  C80 1.430, C81 1.355
23 O -0.743 -6.832 3.171  C81 1.187
24 O -0.051 -2.337 10.746  C69 1.359, C75 1.432
25 O -6.908 -1.005 -1.768  C52 1.364, C59 1.426
26 O -1.291 -1.675 9.003  C54 1.433, C69 1.355
27 O 7.227 2.944 0.557  C66 1.433, C72 1.360
28 O -2.173 2.018 5.080  C60 1.362, C68 1.430
29 O 2.304 4.924 -8.502  C45 1.432, C56 1.367
30 O -1.252 0.487 6.462  C60 1.192
31 O 1.414 -1.637 0.164  C61 1.256
32 O -1.465 5.087 -8.978  C50 1.359, C62 1.434
33 O 3.073 -3.986 1.742  P2 1.674, H96 0.968
34 O 4.347 -3.594 -0.593  P2 1.656, H129 0.980
35 O 0.155 -3.136 1.095  C61 1.239
36 O 9.278 2.127 0.081  C72 1.187
37 O -6.242 -2.280 -0.046  C47 1.431, C52 1.362
38 N 1.895 -3.539 -2.019  C65 1.460, C71 1.459, H138 1.013
39 C 0.646 -5.240 -0.586  C51 1.553, C65 1.559, H94 1.103, H139 1.116
40 C 5.168 4.217 0.277  C66 1.514, H105 1.087, H110 1.091, H144 1.091
41 C 0.216 -4.185 6.809  C80 1.510, H86 1.092, H103 1.093, H113 1.092
42 C -1.801 -4.360 -0.928  C51 1.547, C73 1.548, H112 1.101, H132 1.116
43 C -0.755 0.697 8.882  C54 1.515, H82 1.090, H119 1.090, H135 1.091
44 C 5.806 4.820 -9.452  C79 1.514, H107 1.091, H130 1.091, H131 1.091
45 C 3.303 4.437 -9.403  O29 1.432, C79 1.507, H101 1.093, H117 1.089
46 C -1.907 0.825 3.143  O19 1.436, C68 1.506, C74 1.514, H148 1.094
47 C -7.532 -1.764 0.298  O37 1.431, C53 1.514, C59 1.507, H122 1.094
48 C -1.076 4.950 -6.724  O21 1.436, C62 1.510, C64 1.512, H108 1.094
49 C -1.085 -6.341 6.510  O20 1.432, C80 1.508, H118 1.094, H143 1.089
50 C -2.409 5.813 -8.324  O15 1.190, O21 1.358, O32 1.359
51 C -0.634 -5.222 -1.464  C39 1.553, C42 1.547, H121 1.112, H146 1.109
52 C -5.868 -1.691 -1.215  O18 1.186, O25 1.364, O37 1.362
53 C -8.363 -2.802 1.022  C47 1.514, H87 1.091, H95 1.091, H133 1.091
54 C -1.015 -0.499 9.774  O26 1.433, C43 1.515, C75 1.507, H83 1.094
55 C -3.294 -2.412 2.058  O14 1.428, C70 1.556, H88 1.107, H100 1.116
56 C 2.925 5.809 -7.665  O12 1.187, O16 1.358, O29 1.367
57 C 1.505 -1.175 -2.686  C58 1.557, C71 1.556, H89 1.114, H128 1.096
58 C 0.388 -0.097 -2.815  C57 1.557, C63 1.557, H106 1.104, H125 1.104
59 C -8.084 -1.370 -1.048  O25 1.426, C47 1.507, H120 1.089, H147 1.094
60 C -1.520 0.856 5.361  O19 1.355, O28 1.362, O30 1.192
61 C 0.996 -2.819 0.242  O31 1.256, O35 1.239, C65 1.561
62 C -0.382 4.873 -8.062  O32 1.434, C48 1.510, H91 1.082, H137 1.087
63 C 0.811 1.150 -1.984  C58 1.557, C76 1.532, H102 1.102, H126 1.107
64 C -0.196 5.436 -5.595  C48 1.512, H97 1.090, H99 1.092, H136 1.089
65 C 1.539 -3.965 -0.668  P2 1.920, N38 1.460, C39 1.559, C61 1.561
66 C 6.667 4.261 0.482  O27 1.433, C40 1.514, C77 1.507, H93 1.094
67 C 1.851 3.543 -2.010  S1 1.868, F5 1.343, F10 1.342, C76 1.554
68 C -2.070 2.227 3.669  O28 1.430, C46 1.506, H116 1.093, H124 1.089
69 C -0.812 -2.738 9.694  O17 1.191, O24 1.359, O26 1.355
-- stop --

Job.
Could you search the rows further up for the word "H132" and repeat each line that has it?

Completed.
42 C -1.801 -4.360 -0.928  C51 1.547, C73 1.548, H112 1.101, H132 1.116